Lindemans Peche
Between two parts of the page: crystal structures >
(1)
The following is a DFT calculation (GGA-PBEsol) of Na5Ti12O24 after structural relaxation.

Properties
The calculation puts the uncorrected formation energy at -2768 meV/atom. As for the crystal system: monoclinic. Its space-group type is Pm (6). The calculation puts the size of the total moment at 5.2 μB per formula unit. For the density of states at the Fermi level, the calculation gives 15.8 states/eV/cell.

abc: 5.404 8.852 9.388
angles: 90.00 90.13 90.00
Last column: magnetic moment on the atom in μB.
Fractional positions:
O 0.236 0.663 0.221  -0.02
Ti 0.989 0.672 0.859  0.35
O 0.662 0.000 0.554  0.00
O 0.179 0.829 0.957  0.00
Ti 0.488 0.500 0.653  0.40
O 0.765 0.163 0.791  -0.02
Ti 0.989 0.328 0.859  0.35
Na 0.025 0.000 0.468  0.00
O 0.330 0.834 0.456  0.00
O 0.665 0.334 0.553  0.00
Ti 0.517 0.670 0.358  0.46
O 0.179 0.171 0.957  0.00
Ti 0.012 0.500 0.149  0.49
Ti 0.015 0.173 0.144  0.33
O 0.824 0.329 0.051  0.00
O 0.153 0.500 0.954  -0.01
Na 0.031 0.666 0.479  0.00
Ti 0.493 0.831 0.649  0.35
O 0.765 0.837 0.791  -0.02
O 0.824 0.671 0.051  0.00
O 0.330 0.166 0.456  0.00
Na 0.528 0.500 0.017  0.00
Ti 0.994 0.000 0.856  0.50
Ti 0.493 0.169 0.649  0.35
Na 0.479 0.000 0.981  0.00
O 0.757 0.833 0.300  -0.02
O 0.665 0.666 0.553  0.00
O 0.236 0.337 0.221  -0.02
O 0.256 0.667 0.713  -0.02
O 0.758 0.500 0.793  -0.01
Na 0.031 0.334 0.479  0.00
O 0.849 0.000 0.055  0.00
Ti 0.517 0.000 0.354  0.50
O 0.244 0.000 0.217  -0.01
Ti 0.517 0.330 0.358  0.46
O 0.271 0.000 0.721  -0.02
Ti 0.015 0.827 0.144  0.33
O 0.256 0.333 0.713  -0.02
O 0.335 0.500 0.456  0.00
O 0.743 0.500 0.292  -0.02
O 0.757 0.167 0.300  -0.02

(2)
The following is a DFT calculation (GGA-PBEsol) of Na6Ti2O7 after structural relaxation.

Properties
The calculation puts the uncorrected formation energy at -2139 meV/atom. The value obtained for the energy above the most stable polymorph in this dataset is 0.0775 eV/atom. As for the crystal system: monoclinic. Its space-group type is C2/m (12). The calculation puts the size of the total moment at 0.0 μB per formula unit. For the density of states at the Fermi level, the calculation gives 0.0 states/eV/cell.

abc: 8.421 8.421 10.863
angles: 76.34 76.34 72.69
Fractional positions:
Na 0.245 0.575 0.117
O 0.730 0.022 0.238
Na 0.113 0.794 0.392
O 0.270 0.970 0.387
Ti 0.116 0.116 0.860
Na 0.555 0.555 0.630
Na 0.136 0.443 0.625
O 0.022 0.730 0.238
Na 0.425 0.755 0.883
O 0.283 0.283 0.469
O 0.717 0.717 0.531
Ti 0.797 0.797 0.638
O 0.000 0.000 0.000
Na 0.680 0.992 0.870
O 0.735 0.433 0.093
O 0.784 0.784 0.053
O 0.216 0.216 0.947
Ti 0.884 0.884 0.140
Ti 0.360 0.360 0.866
O 0.433 0.735 0.093
Na 0.755 0.425 0.883
O 0.978 0.270 0.762
O 0.265 0.567 0.907
O 0.970 0.270 0.387
Na 0.443 0.136 0.625
Na 0.206 0.887 0.608
O 0.270 0.978 0.762
O 0.282 0.282 0.194
Na 0.992 0.680 0.870
Na 0.864 0.557 0.375
Na 0.320 0.008 0.130
O 0.567 0.265 0.907
Na 0.887 0.206 0.608
Ti 0.203 0.203 0.362
O 0.613 0.613 0.307
Na 0.008 0.320 0.130
Na 0.794 0.113 0.392
Here the page continues >
Last night, as I stood in front of the Fred Meyer beer cooler, I submitted to a foolish urge: reacting to the unseasonably warm weather, I bought a Lindemans Peche.
I love lambics, perhaps more than any style, but I am a cheapskate. The Buddhists say that we are governed by twin urges of craving and desire, and this decision was wrought with equal measures of each.
I know Lindemans to be a treacly imitation of the wonderful lambics I love, but--well, it was only five bucks. The Saison Dupont, one of my top five faves in the world, was twice that. I counsidered Maudite, at $8, but ... eight percent's a lotta beer. So I palmed the peche ("peach") and decided to give it a whirl. It's been so long that I thought maybe I misrembered just how treacly Lindemans is.
These crystal structures were left in the text by mistake =
The following is a PBE-GGA calculation of an optimized crystal structure of Hf3VN, from Alexandria.

```
5
Lattice="-4.2434 -1.0941 0.4266 0.7687 -3.7971 -2.0921 0.8878 -1.9418 3.8506" Properties=species:S:1:pos:R:3 pbc="T T T"
V -1.2935 -3.4165 1.0926
N 0.0000 0.0000 0.0000
Hf -2.1217 -0.5470 0.2133
Hf 0.4439 -0.9709 1.9253
Hf 0.3843 -1.8985 -1.0460
```

Values from the calculation:
- total moment (μB/atom) = 0.00
- calculated volume (A^3/atom) = 17.07
- formation energy from raw total energies (eV/atom) = -0.62
- energy above the lowest structure with this stoichiometry (meV/atom) = 0

---

The following is a PBE-GGA calculation of an optimized crystal structure of Na3Zn2Cd4, from Alexandria.

```
9
Lattice="4.9561 0.0000 0.0000 -2.4781 5.3033 -0.9599 0.0000 -3.6298 8.4435" Properties=species:S:1:pos:R:3 pbc="T T T"
Zn 0.0000 1.5218 5.3363
Zn 2.4781 0.1516 2.1473
Na 0.0000 0.0000 0.0000
Na 0.0000 2.3519 2.1665
Na 2.4781 -0.6785 5.3171
Cd 2.4781 2.0444 0.0503
Cd 2.4781 2.3922 4.3025
Cd 0.0000 -0.7187 3.1811
Cd 0.0000 -0.3710 7.4332
```

Values from the calculation:
- total moment (μB/atom) = 0.00
- calculated volume (A^3/atom) = 22.74
- DFT formation energy (eV per atom) = -0.059

---

The following is a PBE-GGA calculation of an optimized crystal structure of MgU4, from Alexandria.

```
5
Lattice="-2.9032 -1.2888 -4.2506 -1.5027 -4.4936 2.3889 -4.1798 2.5107 2.0936" Properties=species:S:1:pos:R:3 pbc="T T T"
U -2.8412 -0.9914 2.2412
U 0.0000 0.0000 0.0000
U -2.2030 -2.8912 -0.9309
U -3.5415 0.6110 -1.0785
Mg -4.2929 -1.6359 0.1159
```

Values from the calculation:
- total moment (μB/atom) = 2.42
- calculated volume (A^3/atom) = 29.88
- DFT formation energy (eV per atom) = 2.014

---

The following is a PBE-GGA calculation of an optimized crystal structure of BeB2OsPb, from Alexandria.

```
5
Lattice="-3.1852 1.5881 -1.9253 -3.0760 -4.3365 1.5118 -1.0761 1.9426 3.3827" Properties=species:S:1:pos:R:3 pbc="T T T"
Be -3.6686 -0.4029 1.4846
B -1.5926 0.7941 -0.9626
B -0.5380 0.9713 1.6914
Os 0.0000 0.0000 0.0000
Pb -1.5380 -2.1683 0.7559
```

Values from the calculation:
- total moment (μB/atom) = 0.00
- calculated volume (A^3/atom) = 18.10
- DFT formation energy (eV per atom) = 1.116

---

The following is a PBE-GGA calculation of an optimized crystal structure of Ta2OsBr, from Alexandria.

```
4
Lattice="4.6306 0.0000 0.0000 2.3153 4.0102 0.0000 2.3153 1.3367 3.7809" Properties=species:S:1:pos:R:3 pbc="T T T"
Br 4.6306 2.6735 1.8904
Ta 2.3153 1.3367 0.9452
Ta 0.0000 0.0000 0.0000
Os 6.9459 4.0102 2.8357
```

Values from the calculation:
- total moment (μB/atom) = 0.00
- calculated volume (A^3/atom) = 17.55
- formation energy from raw total energies (eV/atom) = 0.97
- energy above the lowest structure with this stoichiometry (meV/atom) = 830

---

The following is a PBE-GGA calculation of an optimized crystal structure of BeNi2HRh, from Alexandria.

```
5
I did not.
What's a fruit lambic supposed to taste like? Let's turn to Jackson:
Lindemans is peach soda. It is syrupy sweet, a single-noted beer that is scandalously absent of sour. There is a cola in India named Thums Up (in India, "th" is aspirated, so you say 'Tums up"), which ranks as the sweetest beverage ever made; you expect the sugar to recrystalize on your tongue as you drink it. Lindemans is sweet in a different way, like the syrup that comes in canned fruit, but no more pleasant.
In the end, I learned a valuable lesson: spend not your five bones on a crappy beer lest ye waste it; instead, double down and get the transcendent Dupont. When will I learn?
I know Lindemans to be a treacly imitation of the wonderful lambics I love, but--well, it was only five bucks. The Saison Dupont, one of my top five faves in the world, was twice that. I counsidered Maudite, at $8, but ... eight percent's a lotta beer. So I palmed the peche ("peach") and decided to give it a whirl. It's been so long that I thought maybe I misrembered just how treacly Lindemans is.
I did not.
What's a fruit lambic supposed to taste like? Let's turn to Jackson:
[T]hese are beers, produced from grain, with fruit added as a further fermentable material or flavoring. The best of Belgium's artisan-made, lambic-based whole-fruit ... beers have a great complexity and delicacy, and are dry. They are the beer world's elegant response to pink champagne, and make a pretty, unusual and appetizing drink with which to welcome guests at a summer party. [itals mine]Fruit lambics may emphasize either the dry, sherry-like aspect or the sour wild-yeast aspect, but they should never be sweet. In a good lambic, the fruit's sugars will be wholly consumed, leaving the nose and color and the flavor of the fruit, like the essence you find in unsweetened fruit seltzers. I have had lambics that smelled intensely of freshly-picked fruit but had almost no flavor. In others, the fruit comes through on the palate, but runs up against the sour before it can ever take you to sweetness. Many are dry and perfect refreshers.
Lindemans is peach soda. It is syrupy sweet, a single-noted beer that is scandalously absent of sour. There is a cola in India named Thums Up (in India, "th" is aspirated, so you say 'Tums up"), which ranks as the sweetest beverage ever made; you expect the sugar to recrystalize on your tongue as you drink it. Lindemans is sweet in a different way, like the syrup that comes in canned fruit, but no more pleasant.
In the end, I learned a valuable lesson: spend not your five bones on a crappy beer lest ye waste it; instead, double down and get the transcendent Dupont. When will I learn?